[Job]
Next, quote all of the contents further down unchanged.

[Listing]
-- begin --
The following is a GGA-PBE calculation of a relaxed ZnFeSb crystal, from the Materials Project database.

Output
Magnetization ... 2.69 μB per formula unit
E ... -4.172 eV per atom
ΔE_f ... 0.384 eV/atom

Cell: 4.3983 4.3983 4.3983 Å, 60.00 60.00 60.00°
Sites, in units of the cell vectors:
1 Sb 0.0000 0.0000 0.0000
2 Fe 0.2500 0.2500 0.2500
3 Zn 0.7500 0.7500 0.7500

----------

The following is a DFT calculation (PBE) of crystalline Hf5Sc5Ge6 at its relaxed geometry.

Computed properties:
ΔE_f = -0.74 eV per atom
Total energy = -7.5671 eV per atom

Lattice parameters (Å, degrees): 7.9610 7.9610 5.6560 90.00 90.00 119.86
Last column: nearest neighbours and their distance in Å.
Element x y z (fractional)
Hf (0.2438, 0.9987, 0.5000)  3 Ge 2.72-2.90
Hf (0.9987, 0.2438, 0.5000)  3 Ge 2.72-2.90
Hf (0.7566, 0.7566, 0.5000)  3 Ge 2.72-2.92
Hf (0.7536, 0.9988, 0.0000)  3 Ge 2.72-2.89
Hf (0.9988, 0.7536, 0.0000)  3 Ge 2.72-2.89
Sc (0.2453, 0.2453, 0.0000)  3 Ge 2.72-2.90
Sc (0.6677, 0.3340, 0.2506)  2 Sc 2.82-2.83, 6 Ge 2.83-2.84
Sc (0.3340, 0.6677, 0.2506)  2 Sc 2.82-2.83, 6 Ge 2.83-2.84
Sc (0.3340, 0.6677, 0.7494)  2 Sc 2.82-2.83, 6 Ge 2.83-2.84
Sc (0.6677, 0.3340, 0.7494)  2 Sc 2.82-2.83, 6 Ge 2.83-2.84
Ge (0.6087, 0.0002, 0.5000)  3 Hf 2.72-2.90, 4 Sc 2.83
Ge (0.0002, 0.6087, 0.5000)  3 Hf 2.72-2.90, 4 Sc 2.83
Ge (0.3905, 0.3905, 0.5000)  3 Hf 2.73-2.92, 6 Sc 2.84-3.06
Ge (0.3913, 0.0007, 0.0000)  5 Sc 2.72-2.84, 2 Hf 2.74-2.89
Ge (0.0007, 0.3913, 0.0000)  5 Sc 2.72-2.84, 2 Hf 2.74-2.89
Ge (0.6087, 0.6087, 0.0000)  2 Hf 2.72, 5 Sc 2.83-2.90
-- stop --

[Here it is]
The following is a GGA-PBE calculation of a relaxed ZnFeSb crystal, from the Materials Project database.

Output
Magnetization ... 2.69 μB per formula unit
E ... -4.172 eV per atom
ΔE_f ... 0.384 eV/atom

Cell: 4.3983 4.3983 4.3983 Å, 60.00 60.00 60.00°
Sites, in units of the cell vectors:
1 Sb 0.0000 0.0000 0.0000
2 Fe 0.2500 0.2500 0.2500
3 Zn 0.7500 0.7500 0.7500

----------

The following is a DFT calculation (PBE) of crystalline Hf5Sc5Ge6 at its relaxed geometry.

Computed properties:
ΔE_f = -0.74 eV per atom
Total energy = -7.5671 eV per atom

Lattice parameters (Å, degrees): 7.9610 7.9610 5.6560 90.00 90.00 119.86
Last column: nearest neighbours and their distance in Å.
Element x y z (fractional)
Hf (0.2438, 0.9987, 0.5000)  3 Ge 2.72-2.90
Hf (0.9987, 0.2438, 0.5000)  3 Ge 2.72-2.90
Hf (0.7566, 0.7566, 0.5000)  3 Ge 2.72-2.92
Hf (0.7536, 0.9988, 0.0000)  3 Ge 2.72-2.89
Hf (0.9988, 0.7536, 0.0000)  3 Ge 2.72-2.89
Sc (0.2453, 0.2453, 0.0000)  3 Ge 2.72-2.90
Sc (0.6677, 0.3340, 0.2506)  2 Sc 2.82-2.83, 6 Ge 2.83-2.84
Sc (0.3340, 0.6677, 0.2506)  2 Sc 2.82-2.83, 6 Ge 2.83-2.84
Sc (0.3340, 0.6677, 0.7494)  2 Sc 2.82-2.83, 6 Ge 2.83-2.84
Sc (0.6677, 0.3340, 0.7494)  2 Sc 2.82-2.83, 6 Ge 2.83-2.84
Ge (0.6087, 0.0002, 0.5000)  3 Hf 2.72-2.90, 4 Sc 2.83
Ge (0.0002, 0.6087, 0.5000)  3 Hf 2.72-2.90, 4 Sc 2.83
Ge (0.3905, 0.3905, 0.5000)  3 Hf 2.73-2.92, 6 Sc 2.84-3.06
Ge (0.3913, 0.0007, 0.0000)  5 Sc 2.72-2.84, 2 Hf 2.74-2.89
Ge (0.0007, 0.3913, 0.0000)  5 Sc 2.72-2.84, 2 Hf 2.74-2.89
Ge (0.6087, 0.6087, 0.0000)  2 Hf 2.72, 5 Sc 2.83-2.90